Excerpt =
-- begin --
# LaNdGaPd
Computed powder X-ray diffraction pattern, CuKα. Input: a crystal structure in Alexandria, relaxed with PBE.
Intensities are scaled so that the largest is 100.

Principal peaks in the range 10° ≤ 2θ ≤ 80°, in order of rising 2θ:
two_theta	Rel. int.
25.96	14
29.62	100
32.53	38
33.84	17
38.31	50
39.46	23
40.01	26
41.08	24
52.47	19
58.27	14
58.68	17
79.31	15

Structural model:
```
data_LaNdGaPd
_cell_length_a 4.5073
_cell_length_b 4.3945
_cell_length_c 10.5945
_cell_angle_alpha 90.00
_cell_angle_beta 90.00
_cell_angle_gamma 90.00
_symmetry_space_group_name_H-M 'A m m 2'
_symmetry_Int_Tables_number 38
loop_
_symmetry_equiv_pos_as_xyz
'x,y,z'
'-x,-y,z'
'-x,y,z'
'x,-y,z'
'x,y+1/2,z+1/2'
'-x,-y+1/2,z+1/2'
'-x,y+1/2,z+1/2'
'x,-y+1/2,z+1/2'
loop_
_atom_site_label
_atom_site_type_symbol
_atom_site_fract_x
_atom_site_fract_y
_atom_site_fract_z
La1 La 0.0000 0.0000 0.0000
Nd1 Nd 0.5000 0.0000 0.7149
Ga1 Ga 0.5000 0.0000 0.4231
Pd1 Pd 0.0000 0.0000 0.2825
```



# Cd9Sb2As4
Computed powder X-ray diffraction pattern, CuKα. Input: a crystal structure in Alexandria, relaxed with PBE.
Intensities are scaled so that the largest is 100.

Principal peaks in the range 10° ≤ 2θ ≤ 80°, in order of rising 2θ:
two_theta	Rel. int.
25.45	33
26.72	31
28.69	100
28.92	28
29.24	52
29.29	72
33.43	37
35.72	76
37.73	31
42.13	46
43.59	96
43.94	54

Structural model:
```
data_Cd9Sb2As4
_cell_length_a 12.9105
_cell_length_b 7.1410
_cell_length_c 17.6770
_cell_angle_alpha 90.00
_cell_angle_beta 93.49
_cell_angle_gamma 90.00
_symmetry_space_group_name_H-M 'C 1 2/c 1'
_symmetry_Int_Tables_number 15
loop_
_symmetry_equiv_pos_as_xyz
'x,y,z'
'-x,-y,-z'
'-x,y,-z+1/2'
'x,-y,z+1/2'
'x+1/2,y+1/2,z'
'-x+1/2,-y+1/2,-z'
'-x+1/2,y+1/2,-z+1/2'
'x+1/2,-y+1/2,z+1/2'
loop_
_atom_site_label
_atom_site_type_symbol
_atom_site_fract_x
_atom_site_fract_y
_atom_site_fract_z
Cd1 Cd 0.0000 0.2348 0.2500
Cd2 Cd 0.0325 0.4049 0.9038
Cd3 Cd 0.1350 0.1409 0.4736
Cd4 Cd 0.2033 0.3134 0.6828
Cd5 Cd 0.2194 0.1553 0.0900
Sb1 Sb 0.0249 0.0138 0.6231
As1 As 0.1610 0.4692 0.2989
As2 As 0.1617 0.4976 0.5416
```


1.
PbCSBr2N2: theoretical powder diffractogram (Cu Ka), based on a structure optimized by DFT (GGA-PBE).

Most intense lines, 10 to 90 degrees two-theta, in order of rising 2θ:
Position (°2θ), I/Imax
10.2, 100
14.2, 16
16.8, 20
27.3, 34
29.0, 24
31.0, 19

Crystal structure
abc: 4.005 17.279 6.731
angles: 90.00 98.24 90.00
Positions (direct):
1 Pb 0.113 0.000 0.365
2 Pb 0.887 0.500 0.635
3 C 0.482 0.266 0.955
4 C 0.518 0.766 0.045
5 S 0.334 0.417 0.404
6 S 0.666 0.917 0.596
7 Br 0.182 0.481 0.120
8 Br 0.373 0.622 0.583
9 Br 0.627 0.122 0.417
10 Br 0.818 0.981 0.880
11 N 0.277 0.233 0.829
12 N 0.311 0.800 0.920
13 N 0.689 0.300 0.080
14 N 0.723 0.733 0.171

2.
PbC2S2Br2N4: theoretical powder diffractogram (Cu Ka), based on a structure optimized by DFT (GGA-PBE).

Most intense lines, 10 to 90 degrees two-theta, in order of rising 2θ:
Position (°2θ), I/Imax
11.8, 100
17.8, 27
18.8, 22
28.1, 18
29.0, 27
30.6, 18

Crystal structure
abc: 4.006 18.848 8.248
angles: 90.00 98.41 90.00
Positions (direct):
1 Pb 0.119 0.000 0.289
2 Pb 0.881 0.500 0.711
3 C 0.041 0.842 0.814
4 C 0.129 0.252 0.724
5 C 0.871 0.752 0.276
6 C 0.959 0.342 0.186
7 S 0.274 0.710 0.745
8 S 0.327 0.379 0.774
9 S 0.673 0.879 0.226
10 S 0.726 0.210 0.255
-- stop --

Brief =
Count the lines further up that contain the word "with" and give the number alone.

Written answer =
2